1.
Below is C4H7N3 in the gas phase in a non-equilibrium geometry, with properties calculated with ωB97M-V/def2-TZVPD.

Last column: Mulliken charge in e.
Atoms and positions in Å:
C 1.2440 -0.8810 -0.9233  -0.922
C -0.6279 -0.6607 0.8388  -0.416
C -1.6425 0.4777 1.0101  -0.119
C 0.3588 1.2522 -0.4846  0.033
H 2.0080 -1.5400 -0.2820  0.253
H 0.7035 -1.5583 -1.7069  0.296
H 1.8794 -0.3074 -1.7912  0.289
H -1.0397 -1.4914 0.3100  0.290
H -0.1009 -1.0156 1.7671  0.286
H -2.6052 0.4417 1.6370  0.342
H 1.2618 1.5426 -0.9579  0.383
N 0.4185 -0.1021 -0.1381  0.075
N -1.4807 1.6535 0.7833  -0.295
N -0.3772 2.1888 -0.0624  -0.495

Computed properties:
ΔE to the lowest compared entry with this formula, charge and spin: 76.9 kcal per mole
SMILES string: CN1C=NN=CC1
HOMO: -8.82 eV
HOMO-LUMO gap: 9.48 eV

2.
Below is C3H3N3O2 in the gas phase in a non-equilibrium geometry, with properties calculated with ωB97M-V/def2-TZVPD.

Last column: Mulliken charge in e.
Atoms and positions in Å:
C -1.7767 -0.1429 -0.0200  -0.331
C 0.1201 0.7039 0.1936  0.764
C 2.0611 0.1650 -0.2009  -0.137
H -1.5703 -0.2230 1.0646  0.426
H -2.8336 -0.1636 -0.5624  0.270
H 2.9952 0.2054 -0.2548  0.569
N 1.2411 1.1633 -0.1364  -0.554
N 1.5869 -1.1298 -0.0872  -0.382
N 0.1763 -0.6363 0.5600  -0.074
O -1.0981 1.1529 -0.1341  -0.290
O -0.9021 -1.0949 -0.4224  -0.261

Computed properties:
ΔE to the lowest compared entry with this formula, charge and spin: 170.2 kcal per mole
SMILES string: c1nc2n(n1)OCO2
HOMO: -10.08 eV
HOMO-LUMO gap: 9.85 eV

3.
Below is C3HCl2NO in the gas phase in a non-equilibrium geometry, with properties calculated with ωB97M-V/def2-TZVPD.

Last column: Mulliken charge in e.
Atoms and positions in Å:
C 0.7655 0.6165 0.7447  0.165
C 0.4259 1.0579 -0.4179  -0.280
C -0.9425 -1.1039 -0.5240  0.186
N -0.5238 -1.4054 0.6001  -0.157
O 0.3120 -0.6199 1.2822  -0.125
Cl 0.5019 2.2124 -1.5808  -0.119
Cl -1.9426 -1.7500 -1.6372  -0.066
H 1.4036 0.9924 1.5330  0.395

Computed properties:
ΔE to the lowest compared entry with this formula, charge and spin: 120.8 kcal per mole
HOMO (spin up / spin down): -8.74 / -8.85 eV
HOMO-LUMO gap (spin up / spin down): 8.03 / 8.15 eV

4.
Below is 6 unconnected molecules or ions with the total composition H12O6 in a non-equilibrium geometry, with properties calculated with ωB97M-V/def2-TZVPD.

Last column: Mulliken charge in e.
Atoms and positions in Å:
O -1.8164 0.8048 1.7051  -0.615
H -1.1981 1.1820 1.0760  0.371
H -1.5641 -0.1102 1.8628  0.295
O -0.2624 -1.9483 -0.1974  -0.583
H -0.7100 -1.3232 -0.7773  0.323
H -0.5671 -2.8548 -0.2443  0.276
O -2.9686 2.4493 -0.1170  -0.684
H -3.3429 3.2446 0.2794  0.310
H -3.4189 1.7645 0.3952  0.327
O -0.5933 0.8237 -0.8612  -0.621
H -1.2523 1.5232 -0.7364  0.336
H -0.0062 1.0482 -1.5862  0.279
O 4.0723 -0.3808 -1.6412  -0.637
H 3.1448 -0.3271 -1.9007  0.299
H 3.9691 -1.0313 -0.9291  0.338
O 2.5012 -1.4153 1.3416  -0.627
H 1.6126 -1.0949 1.1335  0.299
H 2.4003 -2.3545 1.1970  0.313

Computed properties:
ΔE to the lowest compared entry with this formula, charge and spin: 28.4 kcal per mole
SMILES string: O.O.O.O.O.O
HOMO: -11.15 eV
HOMO-LUMO gap: 11.40 eV

5.
Below is 3 unconnected molecules or ions with the total composition C33H42F17N3O4 in a non-equilibrium geometry, with properties calculated with ωB97M-V/def2-TZVPD.

Last column: Mulliken spin population.
Atoms and positions in Å:
O -1.6729 2.0798 -0.1628  0.001
C -2.6889 1.5310 -0.5117  0.000
O -2.7281 0.4568 -1.3556  0.000
C -2.2222 0.7218 -2.6627  0.000
C -0.9069 0.0053 -2.8315  -0.001
C -0.6960 -1.2362 -2.3027  0.001
C 0.5098 -1.8249 -2.5314  -0.001
N 1.5048 -1.3183 -3.2313  0.002
C 1.2951 -0.1056 -3.7217  0.000
C 0.1146 0.5455 -3.5351  0.000
C -3.2009 0.1915 -3.7313  0.000
F -3.5230 -1.0830 -3.5115  0.000
F -2.5228 0.2301 -4.8972  0.000
C -4.4464 1.0806 -3.9966  0.000
F -3.9737 2.3271 -4.1585  0.000
F -4.9948 0.7267 -5.1628  0.000
C -5.5019 1.1305 -2.8429  0.000
F -5.4259 0.0780 -2.0291  0.000
F -5.1548 2.1881 -2.0776  0.000

It remains to duplicate the listing above word for word.

1.
Below is C4H7N3 in the gas phase in a non-equilibrium geometry, with properties calculated with ωB97M-V/def2-TZVPD.

Last column: Mulliken charge in e.
Atoms and positions in Å:
C 1.2440 -0.8810 -0.9233  -0.922
C -0.6279 -0.6607 0.8388  -0.416
C -1.6425 0.4777 1.0101  -0.119
C 0.3588 1.2522 -0.4846  0.033
H 2.0080 -1.5400 -0.2820  0.253
H 0.7035 -1.5583 -1.7069  0.296
H 1.8794 -0.3074 -1.7912  0.289
H -1.0397 -1.4914 0.3100  0.290
H -0.1009 -1.0156 1.7671  0.286
H -2.6052 0.4417 1.6370  0.342
H 1.2618 1.5426 -0.9579  0.383
N 0.4185 -0.1021 -0.1381  0.075
N -1.4807 1.6535 0.7833  -0.295
N -0.3772 2.1888 -0.0624  -0.495

Computed properties:
ΔE to the lowest compared entry with this formula, charge and spin: 76.9 kcal per mole
SMILES string: CN1C=NN=CC1
HOMO: -8.82 eV
HOMO-LUMO gap: 9.48 eV

2.
Below is C3H3N3O2 in the gas phase in a non-equilibrium geometry, with properties calculated with ωB97M-V/def2-TZVPD.

Last column: Mulliken charge in e.
Atoms and positions in Å:
C -1.7767 -0.1429 -0.0200  -0.331
C 0.1201 0.7039 0.1936  0.764
C 2.0611 0.1650 -0.2009  -0.137
H -1.5703 -0.2230 1.0646  0.426
H -2.8336 -0.1636 -0.5624  0.270
H 2.9952 0.2054 -0.2548  0.569
N 1.2411 1.1633 -0.1364  -0.554
N 1.5869 -1.1298 -0.0872  -0.382
N 0.1763 -0.6363 0.5600  -0.074
O -1.0981 1.1529 -0.1341  -0.290
O -0.9021 -1.0949 -0.4224  -0.261

Computed properties:
ΔE to the lowest compared entry with this formula, charge and spin: 170.2 kcal per mole
SMILES string: c1nc2n(n1)OCO2
HOMO: -10.08 eV
HOMO-LUMO gap: 9.85 eV

3.
Below is C3HCl2NO in the gas phase in a non-equilibrium geometry, with properties calculated with ωB97M-V/def2-TZVPD.

Last column: Mulliken charge in e.
Atoms and positions in Å:
C 0.7655 0.6165 0.7447  0.165
C 0.4259 1.0579 -0.4179  -0.280
C -0.9425 -1.1039 -0.5240  0.186
N -0.5238 -1.4054 0.6001  -0.157
O 0.3120 -0.6199 1.2822  -0.125
Cl 0.5019 2.2124 -1.5808  -0.119
Cl -1.9426 -1.7500 -1.6372  -0.066
H 1.4036 0.9924 1.5330  0.395

Computed properties:
ΔE to the lowest compared entry with this formula, charge and spin: 120.8 kcal per mole
HOMO (spin up / spin down): -8.74 / -8.85 eV
HOMO-LUMO gap (spin up / spin down): 8.03 / 8.15 eV

4.
Below is 6 unconnected molecules or ions with the total composition H12O6 in a non-equilibrium geometry, with properties calculated with ωB97M-V/def2-TZVPD.

Last column: Mulliken charge in e.
Atoms and positions in Å:
O -1.8164 0.8048 1.7051  -0.615
H -1.1981 1.1820 1.0760  0.371
H -1.5641 -0.1102 1.8628  0.295
O -0.2624 -1.9483 -0.1974  -0.583
H -0.7100 -1.3232 -0.7773  0.323
H -0.5671 -2.8548 -0.2443  0.276
O -2.9686 2.4493 -0.1170  -0.684
H -3.3429 3.2446 0.2794  0.310
H -3.4189 1.7645 0.3952  0.327
O -0.5933 0.8237 -0.8612  -0.621
H -1.2523 1.5232 -0.7364  0.336
H -0.0062 1.0482 -1.5862  0.279
O 4.0723 -0.3808 -1.6412  -0.637
H 3.1448 -0.3271 -1.9007  0.299
H 3.9691 -1.0313 -0.9291  0.338
O 2.5012 -1.4153 1.3416  -0.627
H 1.6126 -1.0949 1.1335  0.299
H 2.4003 -2.3545 1.1970  0.313

Computed properties:
ΔE to the lowest compared entry with this formula, charge and spin: 28.4 kcal per mole
SMILES string: O.O.O.O.O.O
HOMO: -11.15 eV
HOMO-LUMO gap: 11.40 eV

5.
Below is 3 unconnected molecules or ions with the total composition C33H42F17N3O4 in a non-equilibrium geometry, with properties calculated with ωB97M-V/def2-TZVPD.

Last column: Mulliken spin population.
Atoms and positions in Å:
O -1.6729 2.0798 -0.1628  0.001
C -2.6889 1.5310 -0.5117  0.000
O -2.7281 0.4568 -1.3556  0.000
C -2.2222 0.7218 -2.6627  0.000
C -0.9069 0.0053 -2.8315  -0.001
C -0.6960 -1.2362 -2.3027  0.001
C 0.5098 -1.8249 -2.5314  -0.001
N 1.5048 -1.3183 -3.2313  0.002
C 1.2951 -0.1056 -3.7217  0.000
C 0.1146 0.5455 -3.5351  0.000
C -3.2009 0.1915 -3.7313  0.000
F -3.5230 -1.0830 -3.5115  0.000
F -2.5228 0.2301 -4.8972  0.000
C -4.4464 1.0806 -3.9966  0.000
F -3.9737 2.3271 -4.1585  0.000
F -4.9948 0.7267 -5.1628  0.000
C -5.5019 1.1305 -2.8429  0.000
F -5.4259 0.0780 -2.0291  0.000
F -5.1548 2.1881 -2.0776  0.000